-- Source --
<<<
Record 1
CuMoAu2: optimized geometry, PBE.

Properties
E above lowest polymorph	237.7	meV/atom
formation energy from the elements	0.3657	eV/atom

Structure (CIF):
```
data_CuMoAu2
_chemical_formula_sum 'Cu1 Mo1 Au2'
_symmetry_space_group_name_H-M 'P 1'
_symmetry_Int_Tables_number 1
_cell_length_a 4.5165
_cell_length_b 4.5165
_cell_length_c 4.5165
_cell_angle_alpha 60.00
_cell_angle_beta 60.00
_cell_angle_gamma 60.00
loop_
_symmetry_equiv_pos_as_xyz
'x,y,z'
loop_
_atom_site_label
_atom_site_fract_x
_atom_site_fract_y
_atom_site_fract_z
Cu1 0.0000 0.0000 0.0000
Mo1 0.5000 0.5000 0.5000
Au1 0.7500 0.7500 0.7500
Au2 0.2500 0.2500 0.2500
```

***

Record 2
NaY3O: optimized geometry, PBE.

Properties
E above lowest polymorph	2053.2	meV/atom

Structure (CIF):
```
data_NaY3O
_chemical_formula_sum 'Na1 Y3 O1'
_symmetry_space_group_name_H-M 'P 1'
_symmetry_Int_Tables_number 1
_cell_length_a 5.4684
_cell_length_b 5.4684
_cell_length_c 5.4684
_cell_angle_alpha 90.00
_cell_angle_beta 90.00
_cell_angle_gamma 90.00
loop_
_symmetry_equiv_pos_as_xyz
'x,y,z'
loop_
_atom_site_label
_atom_site_fract_x
_atom_site_fract_y
_atom_site_fract_z
Y1 0.5000 0.0000 0.0000
Y2 0.0000 0.5000 0.0000
Y3 0.0000 0.0000 0.5000
O1 0.5000 0.5000 0.5000
Na1 0.0000 0.0000 0.0000
```

***

Record 3
LaCN3: optimized geometry, PBE.

Properties
final energy	-33.239	eV per formula unit

Structure (CIF):
```
data_LaCN3
_chemical_formula_sum 'La1 C1 N3'
_symmetry_space_group_name_H-M 'P 1'
_symmetry_Int_Tables_number 1
_cell_length_a 3.6512
_cell_length_b 3.6512
_cell_length_c 3.6512
_cell_angle_alpha 90.00
_cell_angle_beta 90.00
_cell_angle_gamma 90.00
loop_
_symmetry_equiv_pos_as_xyz
'x,y,z'
loop_
_atom_site_label
_atom_site_fract_x
_atom_site_fract_y
_atom_site_fract_z
N1 0.0000 0.0000 0.5000
N2 0.5000 0.0000 0.0000
N3 0.0000 0.5000 0.0000
C1 0.0000 0.0000 0.0000
La1 0.5000 0.5000 0.5000
```

* * * * *

The following is a PBE calculation of a relaxed NaTl2Hg4 crystal, from Alexandria.

ΔE_f (meV/atom): -47
Theoretical density (kg/m³): 9836
Energy (eV per atom): -1.084

a b c (Å): 6.537 11.286 11.296
angles (deg): 90.00 90.00 90.00
Space group Fmmm (No. 69)
Unique sites:
Na 0.000 0.000 0.000 x4
Tl 0.250 0.250 0.250 x8
Hg 0.000 0.000 0.303 x8
Hg 0.000 0.200 0.500 x8
>>>
-- Exercise --
What is needed: find the line earlier on that holds "CuMoAu2: optimized", then retype that line and all lines after it there.
-- Written answer --
CuMoAu2: optimized geometry, PBE.

Properties
E above lowest polymorph	237.7	meV/atom
formation energy from the elements	0.3657	eV/atom

Structure (CIF):
```
data_CuMoAu2
_chemical_formula_sum 'Cu1 Mo1 Au2'
_symmetry_space_group_name_H-M 'P 1'
_symmetry_Int_Tables_number 1
_cell_length_a 4.5165
_cell_length_b 4.5165
_cell_length_c 4.5165
_cell_angle_alpha 60.00
_cell_angle_beta 60.00
_cell_angle_gamma 60.00
loop_
_symmetry_equiv_pos_as_xyz
'x,y,z'
loop_
_atom_site_label
_atom_site_fract_x
_atom_site_fract_y
_atom_site_fract_z
Cu1 0.0000 0.0000 0.0000
Mo1 0.5000 0.5000 0.5000
Au1 0.7500 0.7500 0.7500
Au2 0.2500 0.2500 0.2500
```

***

Record 2
NaY3O: optimized geometry, PBE.

Properties
E above lowest polymorph	2053.2	meV/atom

Structure (CIF):
```
data_NaY3O
_chemical_formula_sum 'Na1 Y3 O1'
_symmetry_space_group_name_H-M 'P 1'
_symmetry_Int_Tables_number 1
_cell_length_a 5.4684
_cell_length_b 5.4684
_cell_length_c 5.4684
_cell_angle_alpha 90.00
_cell_angle_beta 90.00
_cell_angle_gamma 90.00
loop_
_symmetry_equiv_pos_as_xyz
'x,y,z'
loop_
_atom_site_label
_atom_site_fract_x
_atom_site_fract_y
_atom_site_fract_z
Y1 0.5000 0.0000 0.0000
Y2 0.0000 0.5000 0.0000
Y3 0.0000 0.0000 0.5000
O1 0.5000 0.5000 0.5000
Na1 0.0000 0.0000 0.0000
```

***

Record 3
LaCN3: optimized geometry, PBE.

Properties
final energy	-33.239	eV per formula unit

Structure (CIF):
```
data_LaCN3
_chemical_formula_sum 'La1 C1 N3'
_symmetry_space_group_name_H-M 'P 1'
_symmetry_Int_Tables_number 1
_cell_length_a 3.6512
_cell_length_b 3.6512
_cell_length_c 3.6512
_cell_angle_alpha 90.00
_cell_angle_beta 90.00
_cell_angle_gamma 90.00
loop_
_symmetry_equiv_pos_as_xyz
'x,y,z'
loop_
_atom_site_label
_atom_site_fract_x
_atom_site_fract_y
_atom_site_fract_z
N1 0.0000 0.0000 0.5000
N2 0.5000 0.0000 0.0000
N3 0.0000 0.5000 0.0000
C1 0.0000 0.0000 0.0000
La1 0.5000 0.5000 0.5000
```

* * * * *

The following is a PBE calculation of a relaxed NaTl2Hg4 crystal, from Alexandria.

ΔE_f (meV/atom): -47
Theoretical density (kg/m³): 9836
Energy (eV per atom): -1.084

a b c (Å): 6.537 11.286 11.296
angles (deg): 90.00 90.00 90.00
Space group Fmmm (No. 69)
Unique sites:
Na 0.000 0.000 0.000 x4
Tl 0.250 0.250 0.250 x8
Hg 0.000 0.000 0.303 x8
Hg 0.000 0.200 0.500 x8